Monday, May 23, 2011

Monday, April 25, 2011

Architecture Preview

who: spanish architect santiago calatrava
when: it was opened on august 27, 2005
where: santiago calatrava
you can go in the building and explore.
designed by a sculpture called twisting torso
i picked this building cause its the 2nd tallest bulding in scandinavia. and this place is very nice and i would go visit.

who: national register of historic places
when: february 24, 2004
where: genesee mountain
you cant cause its someones house.
2.8 million outstanding balance of his $3.1 million mortgage on the house
it was created for someone to live in.
i picked this building because i would really like to live in this house. the inside of the this house is gorgeous.

who: burj khalifa
when: october 27, 2006
where: dubai, united arab emirates
you could rent a room but its going to be alot of money.
about tens of millions of dollars.
they build it to have the most expensive builing in the country and if theres any desasters like a huge wave nothing will happen to this building.
i picked this builing because iv always learned about this building ever since its been around. in every history class.

who: arquitectura orgánica
when: november 11, 2009
where: mexico city, mexico
someone lives in this place.
this building was built for two kids in mexico.
i picked this building cause its a very nice home. its very catchy, everything in the house is catchy its weird but amazing in a way.

who: john f. kennedy
when: december 2001
where: beijing, china
you can visit but you have to have an art or you can just look at the art.
2.688 billion
it was built for very good art.
i picked it cause i love art and i would love to go and take a look inside this place and explore around.

Monday, March 21, 2011


the people in japan needs more help i feel really sorry for them in the disaster. they didnt see this coming at all and millions of people are homeless and their lives are ruined. in this photo there is a "background" for this.

the person in this car probably was on their way somewhere than got stuck but i feel bad for the person. this photo has a background inside where the car is.

Tuesday, March 8, 2011

Touching People

1. the project is an interesting thing to do because you dont often or expect for someone to tell to strangers to eachother to take a photo with eachother.

2. i wouldn't react to it bad i would probably just do it.

3. i think we should go in an random class and taking photo's as your in that class.

4. i think the photography is quite interesting taking a photo with a random person. the photographer used balanced elements. he took portraits from othe people.

Wednesday, March 2, 2011

Cool advertising idea

i picked this picture because it really has a good design like the elepants drawn on the persons hand is catchy.
i wouldnt get AT&T cause it really isnt a good brand but just cause it has good design for it.

Monday, February 14, 2011

Elements of year books and notes

Elements: in year book
1. school pictures
3. sports photo's
4. bands photo's
5. memories
6. leadership photo's
7. child hood photo's
8. cover
9. location
10. what you wonna do.

the year book it's self is made of cardboard and how its made is they sow the book than glew it in the card board.

i see letters, designs, the year and school.

who, what, when, where, why

i see the same thing that was on the first cover but it has page numbers it has.
it has the similar design as the front cover.

it has the exact same thing on the right side but on the left it has the people who made the year book.

i see what volume it is. the school, adress, location, zip code, and website,

Spread - two pages that work side by side that work together.
who? which is telling who they are and what they do. for example a girl on here telling what she does.

Divider page:
5 sections, and all of them talk about why, what, when, where, and why.

What i see in the back two covers:
i see blank i guess for autographing.

Colophon - describes how the year book was made and how they made up the theme and alot of details.

i see a bunch of memories of the seniors when they were little children.
there better be an index. sports.

12 bussness pages.
should be 40 pages - $300-500 = $16,000
cost of the year book:

Thursday, February 10, 2011

Happy Akins Building

in this photo she excitly saw me going to take a snapshot of her and made her laugh.
julio culajay in front of w. charles akins high posing for the snapshot.

walking around akin's looking for a photo for building than just took a shot of able acadamy showing a part of the builiding in akins.


Go to file and save as. Rename it. save it in YOUR folder.
Image, adjustments, levels
Change RGB to blue, and drag the white to the mountain.

Monday, January 31, 2011

[The text is interrupted by data records]
Entry 1:
# CaTl2HgSb2
Computed X-ray powder pattern, a wavelength of 1.5418 Å. Input: a PBE-relaxed structure.

Structural model:
a = 4.7392 Å, b = 10.1875 Å, c = 7.7372 Å
α = 90.00°, β = 90.00°, γ = 90.00°
Atoms (fractional coordinates):
Ca: 0.0000 0.0418 0.0000
Ca: 0.0000 0.9582 0.5000
Tl: 0.0000 0.3472 0.3632
Tl: 0.0000 0.6528 0.8632
Tl: 0.5000 0.3964 0.0400
Tl: 0.5000 0.6036 0.5400
Hg: 0.5000 0.1613 0.6728
Hg: 0.5000 0.8387 0.1728
Sb: 0.0000 0.3102 0.7709
Sb: 0.0000 0.6898 0.2709
Sb: 0.5000 0.1200 0.2768
Sb: 0.5000 0.8800 0.7768

Most intense lines, 2θ from 15° to 90°, in order of falling intensity:
two_theta, Rel. int.
28.19, 100
31.11, 73
32.43, 56
37.97, 50
29.81, 49
35.20, 42



Entry 2:
# Ca5ScHg6
Computed X-ray powder pattern, a wavelength of 1.5418 Å. Input: a PBE-relaxed structure.

Structural model:
a = 8.3406 Å, b = 8.3406 Å, c = 7.5061 Å
α = 90.00°, β = 90.00°, γ = 143.15°
Atoms (fractional coordinates):
Ca: 0.0000 0.0000 0.0000
Ca: 0.3314 0.6686 0.0000
Ca: 0.3327 0.6673 0.5000
Ca: 0.6673 0.3327 0.5000
Ca: 0.6686 0.3314 0.0000
Sc: 0.0000 0.0000 0.5000
Hg: 0.1591 0.8409 0.2595
Hg: 0.1591 0.8409 0.7405
Hg: 0.5000 0.5000 0.2672
Hg: 0.5000 0.5000 0.7328
Hg: 0.8409 0.1591 0.2595
Hg: 0.8409 0.1591 0.7405

Most intense lines, 2θ from 15° to 90°, in order of falling intensity:
two_theta, Rel. int.
33.89, 100
34.00, 50
23.86, 50
60.78, 35
23.71, 25
41.87, 23



Entry 3:
# CaSmSc2Hg4
Computed X-ray powder pattern, a wavelength of 1.5418 Å. Input: a PBE-relaxed structure.

Structural model:
a = 8.9809 Å, b = 8.9809 Å, c = 8.9809 Å
α = 33.40°, β = 33.40°, γ = 33.40°
Atoms (fractional coordinates):
Ca: 0.0000 0.0000 0.0000
Sm: 0.5000 0.5000 0.5000
Sc: 0.2518 0.2518 0.2518
Sc: 0.7482 0.7482 0.7482
Hg: 0.1241 0.1241 0.1241
Hg: 0.3749 0.3749 0.3749
Hg: 0.6251 0.6251 0.6251
Hg: 0.8759 0.8759 0.8759

Most intense lines, 2θ from 15° to 90°, in order of falling intensity:
two_theta, Rel. int.
34.64, 100
34.76, 99
62.26, 55
24.34, 54
49.88, 36
62.00, 18



Entry 4:
# Ca3SmHg4
Computed X-ray powder pattern, a wavelength of 1.5418 Å. Input: a PBE-relaxed structure.

Structural model:
a = 8.3969 Å, b = 8.3969 Å, c = 5.3884 Å
α = 108.63°, β = 108.63°, γ = 37.43°
Atoms (fractional coordinates):
Ca: 0.0000 0.0000 0.0000
Ca: 0.2494 0.2494 0.2495
Ca: 0.7506 0.7506 0.7505
Sm: 0.5000 0.5000 0.5000
Hg: 0.1231 0.1231 0.6231
Hg: 0.3769 0.3769 0.8766
Hg: 0.6231 0.6231 0.1234
Hg: 0.8769 0.8769 0.3769

Most intense lines, 2θ from 15° to 90°, in order of falling intensity:
two_theta, Rel. int.
33.56, 100
33.25, 51
59.62, 38
23.35, 28
47.74, 19
60.20, 19



Entry 5:
# Ca3Sm2Hg3
Computed X-ray powder pattern, a wavelength of 1.5418 Å. Input: a PBE-relaxed structure.

Structural model:
a = 11.8281 Å, b = 11.8281 Å, c = 11.8281 Å
α = 161.50°, β = 153.37°, γ = 32.62°
Atoms (fractional coordinates):
Ca: 0.0000 0.0000 0.0000
Ca: 0.3821 0.8821 0.5000
Ca: 0.6179 0.1179 0.5000
Sm: 0.2308 0.2308 0.0000
Sm: 0.7692 0.7692 0.0000
Hg: 0.1199 0.6199 0.5000
Hg: 0.5000 0.5000 0.0000
[Here the text continues]

Magazine Cover Types

Cover types:
1. Early magazine covers.
lots of magazines use to have a cute little painting. tips, moms who stay home and be good housekeeping.
often they concluded had vogue.

2. The poster cover
very few words. the picture is the most dominite piece. very apealing. in general there would be a page number to go to. the tital of the photo, the date, the photographer, and the photo.
in a poster magazine it should be something or someone everyone knows.
disadvanages, it can be very boring, it doesnt tell you more about the magazine inside.

3. Pictures married to type.
the words dont cover the most important in the photo, in fact the words do go with the photo.
the words work directly to the photo, and they tell us what we should see in the magazine.
they work together and help eachother up.
disadvanages, it could not be apealing to the mases.

4. In the forest of words.
lots of words organized in headlines style and sub headlines.
different sizes of words, different colors, different fonts.
in a force of style element, the text can cover up the photo on the magazine.
it has multiple points of entry.
disadvantges, its too cluddered, and takes away the photo behind the headlines.

Stuff that should be on my magazine cover.
title, photo, bar codes, date, price,

Wednesday, January 19, 2011

Magazine cover and catch up

1. the main idea.
2. what the photo is about.
3. what was going on while the photo was happening.
4. why i picked this photo and what made it interesting.
5. what makes this photot so awesome to write about.

Thursday, January 6, 2011

tips of photography self portrait

Just remember that a self-timer will give you a very limited amount of time to get in position (usually 10 seconds).

A mirror or some other reflective surface offers an even easier way to take a self-portrait.

i like this picture because the background is amazing it looks black and white and the subject looks the color of the real picture. i picked it out because i love to take pictures like this of me and also of other people.

i really like this picture because the eagles are lined up from close to far and thats a shot you wont capture often. their invirorment is awesome the background of the mountains is incredable. i picked this picture because one day i want to take a picture of animals you wont find doing, doing it and take a picture of it.

i really like this picture because mirror pictures are the most coolest pictures to me from glasses to mirrors to anything you can reflect to. i picked this picture because i love to take mirror photo's from windows and refective objects.

i like this picture because the movement made this picture an awesome photo the subject looks like a ghost and the sun in the background goes with the photo. i reason why i picked this picture because i love photo's with moement and it makes people into ghost.

i really like this picture because it shows what he stands for and what he loves for his life in the back is a horse and im assuming he lives on a farm loves to ride horse. i picked this picture because it shows what he loves.

i really like this picture because i love bmx and i love to take pictures of events of skateboarding or bmx thats one of my favorit things to take photo's of. i picked this picture because i love to do bmx and capture photo's of them.

for start im going to be doing the portrait on myself, than i will be doing the portrait on julio culajay. the photo's i will take of him will be good quality and there will be a background a close ups on some. there will be negative photo's in this so there can be black and white. we will be all over akins high school taking everywhere from the court yard to the gym to to class room.

Tuesday, January 4, 2011

Welcome back!!!!

== Attached: materials data ==
For Na3Ga9Cu2, a crystal structure in Alexandria, relaxed with PBE gives the calculated X-ray powder pattern in this record (a wavelength of 1.5418 Å).
Lines closer than 0.1° are merged.

Atomic structure:
Unit cell a=4.264 b=9.867 c=12.498 alpha=90.00 beta=90.00 gamma=90.00
Space group Immm (No. 71)
Asymmetric unit:
Na: 0.000 0.000 0.000 [2 per cell]
Na: 0.000 0.000 0.313 [4 per cell]
Ga: 0.000 0.284 0.126 [8 per cell]
Ga: 0.000 0.365 0.332 [8 per cell]
Ga: 0.000 0.500 0.000 [2 per cell]
Cu: 0.000 0.218 0.500 [4 per cell]

Largest 8 diffraction maxima, by angle, 10° ≤ 2θ ≤ 90°:
- (0 2 0), 17.98 deg, I 60
- (1 1 0), 22.72 deg, I 44
- (1 3 0), 34.44 deg, I 34
- (1 2 3), 35.18 deg, I 100
- (1 3 2), 37.41 deg, I 39
- (2 0 0), 42.39 deg, I 62
- (1 3 4), 45.33 deg, I 47
- (1 2 5), 45.93 deg, I 37
== The entry goes on ==

this picture is one my favorits pictures because the man in the photo holding the american flag is showing he has faith and he beleves that we can help them. though their country is broken and got as good but we are trying to help them out.

i really like this picture because i get to picture the predader pray on its bate and stock it. you see everything in this picture the giraffe see's the tiger about to attack.

this picture caught my eye because the background is quite amazing, they thunder in the clouds is amazing. the quality in the photo is good this person took a good photo they did a great job followed the background rules.

1. wiz khalifa - black and yellow
i picked this song because he's one of my favorit artist and his songs have good beats like this one.

2. cop out
tracy morgan is one of my favorit people in movies hes hilarious. in this movie is he is funny i loved this movie.

3. miley cyrus smoking weed
when i first saw this i was shocked i couldnt beleve it this is something i wouldnt have thought about. i knew she would drink but not smoke out of a bong.
4. justin bieber
justin bieber was chose the most important person because every girl loved his songs and everything so he got one million hits on his albums.

5. super bowl
super bowl, super bowl every mans favorit event a dream for kids to be in when they grow up, a dream for every NFL team to be in its what everyone wants to see.

1. i got some money from my grandpa and he's going to be he helping me buy the camera i want.
2. to have better grades and be more focus.
3. new year, new me, new life, new everything